
Trump aides helped convince him he won 2020 election, Kellyanne Conway claims

In her new memoir, “Here’s The Deal,” out today, Kellyanne Conway rarely criticizes ex-President Donald Trump, but she is blunt about the final months of his presidency, writing that his remaining senior staff did nothing “to cement or communicate his impressive policy legacy and were ushering in conspiracy theorist after kook after conniver.”

(The text is interrupted by calculated molecules)
Record 1
Molecular formula: C2H5BrSi
Method: DFT, ωB97M-V/def2-TZVPD

The multiplicity is 3. As for the charge: 0. The relative energy (zero: lowest compared OMol25 entry of this formula, charge and spin) is 173.6 kJ/mol. For the LUMO energy (alpha / beta), the calculation gives 0.500 / -2.911 eV. The value obtained for the molar mass is 137.05 g mol⁻¹.

```
9
Properties=species:S:1:pos:R:3:forces:R:3:mulliken_charge:R:1
C 0.64287 -1.61230 0.09407 -1.4 -7.0 0.9 -0.902
C 0.95294 -0.33881 -0.07521 4.8 8.9 -0.5 0.267
Si -0.14011 1.14864 0.00426 -0.6 -2.0 1.3 0.419
Br 2.96914 0.09350 0.03066 -2.1 -0.6 -0.5 -0.186
H 1.22527 -2.45662 0.34916 0.8 -0.2 0.8 0.377
H -0.33458 -1.86524 -0.15225 -1.7 -0.6 -0.9 0.327
H -1.14357 0.61983 -0.92166 -0.6 0.3 -0.2 -0.112
H -0.74356 1.15097 1.40896 0.1 0.3 -0.6 -0.078
H 0.36403 2.39726 -0.42822 0.6 0.9 -0.3 -0.112
```
Forces are in eV/Å.

Record 2
Molecular formula: C2H5Cl2N2
Method: DFT, ωB97M-V/def2-TZVPD

As for the charge: +1. The relative energy (zero: lowest compared OMol25 entry of this formula, charge and spin) is 93.1 kJ/mol. For the LUMO energy, the calculation gives -4.217 eV. The value obtained for the molar mass is 127.98 g mol⁻¹.

```
11
Properties=species:S:1:pos:R:3:forces:R:3:mulliken_charge:R:1
C -0.72466 0.41921 -0.26408 -2.3 3.0 -1.7 0.202
C 1.53603 -0.08665 0.55521 0.2 0.1 5.0 0.153
N -2.00434 0.15986 -0.56783 2.6 -0.2 0.7 -0.296
N 0.08076 -0.38757 0.28861 2.9 -3.0 0.4 -0.225
Cl 2.46255 -1.46971 0.09590 0.3 -0.5 -0.6 -0.104
Cl 2.07386 1.40176 -0.08847 0.2 0.6 -0.6 -0.115
H -0.28608 1.40664 -0.55985 -0.8 -0.6 0.9 0.285
H 1.79146 0.00618 1.86809 -1.4 -0.3 -4.1 0.356
H -2.72077 0.76257 -0.85814 -0.3 1.6 -0.6 0.236
H -2.21091 -0.77259 -0.73254 -0.8 -2.2 0.2 0.203
H 0.00211 -1.43970 0.26310 -0.6 1.5 0.4 0.306
```
Forces are in eV/Å.

Record 3
Molecular formula: C2H5Cl3NP
Method: DFT, ωB97M-V/def2-TZVPD

As for the charge: 0. The relative energy (zero: lowest compared OMol25 entry of this formula, charge and spin) is 29.1 kJ/mol. For the LUMO energy, the calculation gives 0.745 eV. The value obtained for the molar mass is 180.40 g mol⁻¹.

```
12
Properties=species:S:1:pos:R:3:forces:R:3:mulliken_charge:R:1
C 3.27640 -0.60318 -0.22900 -1.0 -3.0 2.0 -0.739
C 2.04123 -1.03578 -0.23228 -0.5 -0.3 0.0 0.486
N -2.27211 0.58858 -0.20336 1.5 -1.6 1.3 -0.550
P -1.61601 -0.80852 0.61103 1.1 2.3 -0.1 0.219
Cl 1.37846 -2.28117 0.68188 0.5 -1.4 1.1 -0.148
Cl -2.25603 -2.42476 -0.40107 -0.6 -1.1 -0.7 -0.204
Cl 0.79990 -0.44792 -1.23122 0.0 1.2 -1.4 -0.180
H 3.46110 0.19792 -0.77219 1.2 3.5 -2.5 0.331
H 4.03128 -1.11227 0.32309 0.3 -0.1 0.4 0.260
H -3.25772 0.47814 -0.29749 -0.6 0.4 -0.9 0.270
H -1.69424 0.74724 -1.01570 -0.7 0.4 -0.4 0.243
H -2.56729 -0.77607 1.56223 -1.4 -0.3 1.1 0.012
```
Forces are in eV/Å.

Record 4
Molecular formula: C2H5ClN2O
Method: DFT, ωB97M-V/def2-TZVPD

Conway had left her job as special counselor to the president four months before the Capitol riot of Jan. 6, 2021. She writes that she was working as a stay-at-home mom to her four children when she saw a tweet from Donald J. Trump Jr. pop up on her phone: “This is wrong and not who we are.”

[Molecular data, as found in the file]
~~~
An isolated molecule of C18H20N2O2. Source: the OMol25 dataset; level of theory: wB97M-V/def2-TZVPD.

Geometry as XYZ:
```
42
Properties=species:S:1:pos:R:3:forces:R:3:nbo_charge:R:1
O 2.698 1.434 -0.022 0.13 0.42 -0.04 -0.7459
C 2.647 0.220 0.705 0.08 -0.45 0.28 -0.0674
H 1.824 -0.408 0.336 0.08 -0.01 0.03 0.1729
C 2.440 0.525 2.186 -0.06 0.10 -0.46 -0.4037
H 3.260 1.155 2.533 0.05 -0.04 0.06 0.2092
H 2.445 -0.416 2.734 0.05 0.00 0.03 0.2331
C 1.111 1.244 2.438 0.21 -0.02 0.04 -0.4581
C -0.034 0.374 2.048 -0.09 -0.02 0.09 0.4158
N -0.103 -0.891 2.349 0.50 -0.07 0.26 -0.4818
C -1.273 -1.348 1.801 -0.42 0.52 -0.36 0.0701
C -1.832 -2.621 1.804 0.01 0.08 -0.02 -0.1951
C -3.031 -2.794 1.146 -0.01 -0.22 0.03 -0.2366
C -3.670 -1.735 0.498 -0.12 0.08 -0.08 -0.2266
C -3.133 -0.463 0.487 -0.08 0.13 -0.08 -0.2512
C -1.928 -0.282 1.145 0.02 -0.66 0.27 0.1719
N -1.121 0.818 1.335 0.04 -0.22 0.17 -0.3858
C -1.331 2.104 0.733 0.20 0.21 -0.62 -0.2246
H -0.989 2.900 1.400 -0.10 -0.05 -0.07 0.2169
H -2.404 2.222 0.562 0.09 0.05 0.10 0.2168
C -0.589 2.196 -0.612 -0.03 0.30 0.36 -0.0892
O -1.017 1.103 -1.403 -0.09 -0.05 -0.12 -0.5162
C -0.071 0.363 -2.052 0.13 -0.22 -0.07 0.2965
C -0.301 -1.007 -2.152 -0.12 0.25 0.11 -0.2080
C 0.607 -1.814 -2.808 0.05 0.00 -0.02 -0.2041
C 1.752 -1.269 -3.368 0.11 -0.10 -0.06 -0.2393
C 1.974 0.093 -3.281 0.06 -0.02 -0.02 -0.2125
C 1.067 0.915 -2.630 -0.23 0.15 0.06 -0.3076
H 1.236 1.981 -2.590 -0.01 0.09 0.02 0.2217
H 2.855 0.528 -3.731 0.06 0.04 -0.05 0.2142
H 2.464 -1.903 -3.874 0.06 -0.05 -0.05 0.2150
H 0.425 -2.876 -2.875 -0.03 -0.09 0.00 0.2172
H -1.192 -1.415 -1.700 -0.12 -0.05 0.09 0.2275
H 0.492 2.150 -0.438 -0.10 -0.01 -0.03 0.2145
H -0.836 3.143 -1.109 0.05 -0.09 0.05 0.1812
H -3.628 0.346 -0.030 -0.05 0.05 -0.07 0.2137
H -4.606 -1.917 -0.009 -0.07 0.00 -0.04 0.2117
H -3.491 -3.771 1.125 -0.03 -0.07 0.00 0.2111
H -1.334 -3.436 2.304 0.06 -0.10 0.06 0.2203
H 1.033 1.478 3.503 -0.05 0.09 -0.06 0.2349
H 1.098 2.177 1.877 -0.03 0.06 0.06 0.2183
H 3.585 -0.335 0.578 -0.12 0.01 0.03 0.1686
H 2.902 1.229 -0.941 -0.10 -0.04 0.08 0.4807
```
Forces are in eV/Å.

Properties
ΔE to the lowest compared entry with this formula, charge and spin	28.6	kcal/mol
SMILES string	OCCCc1nc2ccccc2n1CCOc1ccccc1
total charge	0
highest occupied orbital energy	-8.264	eV
E	-957.9178	a.u.

* * * * *

Density functional theory data (ωB97M-V/def2-TZVPD) for a structure of composition CH2N3O3 at a distorted geometry.

E_tot: -429.133758 hartree
energy relative to the best compared isomer or geometry (same formula, charge and spin): 523.4 kJ/mol
largest force on an atom: 4.89 eV/Å
orbital gap: 0.2904 Ha
E_HOMO: -3.512 eV

The geometry in ORCA input format:
```
! RIJCOSX wB97M-V def2-TZVPD def2/J DEFGRID3
* xyz -1 1
H 2.888 -0.009 0.642
O 0.630 0.854 0.796
O -2.774 0.912 -0.136
N -0.212 -1.349 -0.390
O -1.332 -0.723 0.147
N 1.101 -0.162 0.307
C -1.706 0.390 -0.362
H -0.838 0.685 -1.129
N 2.243 -0.598 0.125
*
```

***
~~~

“It seemed cryptic and urgent, both at once,” she writes. She switched on the television and realized that a Trump rally had turned into a siege of the nation’s Capitol.

At the same time, Conway received a text from an ally of DC Mayor Muriel Bowser seeking the White House’s help in putting the National Guard on the ground, a request initially denied by acting Secretary of Defense Christopher Miller, she writes.

Conway was in her fourth month as a stay-at-home mom when she heard about the Capitol riot on Jan. 6, 2021. AP
Conway said she implored the president to call an end to the siege and deploy the National Guard. AP

Conway writes that she called a Trump aide and made three urgent points: “Add me to the course of people calling to urge the president to tell the people at the Capitol to stop … second, there are requests to deploy the National Guard … And finally, can he please clarify his Twitter feed.”

Two days later, Twitter had banned Trump’s account, former aide Steve Bannon and “other questionable characters got their pardons,” and Congress was busy impeaching Trump again, she writes.

In the end, despite the mountains of campaign money raised, Trump’s team had simply failed to get him re-elected while encouraging him privately that he had won, she writes. “The team failed on November 3 and they failed again afterward” by not confronting him with the reality of his loss.

Trump’s remaining senior staff did nothing “to cement or communicate his impressive policy legacy and usher[ed] in conspiracy theorist after kook after conniver,” Conway writes. AFP via Getty Images
“The team failed on [Election Day] and they failed again afterward” by not confronting Trump with the reality of his loss, Conway writes. Getty Images

Conway writes that four years ago, on her 50th birthday, she watched Trump take the oath of office. Four years later, she watched Joe Biden do the same. “It didn’t have to be this way,” she writes.

She does, however, end on an inspirational note, at least for the country if not her marriage, which took a beating during her time in the White House as her husband, George, posted damning tweets about Trump.

# Data records, kept here for reference
+++
Entry 1:
A cluster of 7 separate species, C56H74N8O5 in total at a distorted geometry, computed with the ωB97M-V functional and the def2-TZVPD basis.

Each line ends with the Löwdin charge.
Positions of all 143 atoms, in Å:
C1 -4.505 -1.021 5.636  -0.089
N1 -4.688 0.011 4.545  -0.213
C2 -6.110 0.087 4.035  -0.122
C3 -4.115 1.363 4.906  -0.245
O1 -5.018 2.354 5.150  -0.072
C4 -2.532 1.768 5.003  -0.025
C5 -1.633 1.411 3.680  -0.398
C6 -0.232 0.706 4.264  -0.100
C7 -0.549 -0.780 4.963  -0.241
N2 0.430 -0.898 6.124  -0.068
C8 -1.166 2.818 2.982  -0.106
C9 -0.046 2.670 1.794  -0.157
O2 -0.615 3.357 0.594  -0.236
C10 0.182 3.049 -0.612  -0.152
C11 -0.239 1.567 -1.262  -0.153
O3 0.831 0.638 -0.867  -0.171
C12 0.316 -0.689 -0.497  -0.150
C13 1.120 -1.493 0.712  -0.001
C14 0.671 -3.027 1.196  -0.018
C15 -0.606 -3.853 0.501  -0.079
C16 -1.056 -5.358 0.968  -0.450
C17 -2.620 -5.201 1.542  -0.102
C18 -0.196 -5.941 2.272  -0.084
C19 -1.135 -6.471 -0.229  -0.140
C20 0.126 -6.484 -1.271  -0.487
C21 -0.100 -5.475 -2.585  -0.086
C22 0.150 -8.020 -1.933  -0.114
C23 1.603 -6.277 -0.592  -0.085
C24 -1.411 -2.985 -0.681  0.001
C25 -0.966 -1.466 -1.162  0.006
O4 -2.222 0.421 2.767  -0.055
C26 -3.027 1.040 1.704  -0.106
O5 -3.228 0.285 0.591  -0.071
H1 -4.143 -0.465 6.599  0.105
H2 -5.514 -1.609 5.759  0.102
H3 -3.682 -1.786 5.235  0.095
H4 -6.343 -0.924 3.446  0.109
H5 -6.277 0.946 3.223  0.113
H6 -6.867 0.165 4.926  0.098
H7 -2.468 2.951 5.153  0.142
H8 -2.117 1.283 6.003  0.137
H9 0.555 0.489 3.425  0.104
H10 0.316 1.413 5.053  0.135
H11 -0.252 -1.655 4.207  0.118
H12 -1.673 -0.914 5.261  0.090
H13 0.070 -1.583 6.830  0.067
H14 1.367 -1.193 5.760  0.073
H15 -0.647 3.459 3.845  0.113
H16 -2.068 3.498 2.608  0.139
H17 0.900 3.316 2.099  0.136
H18 0.260 1.571 1.532  0.121
H19 1.318 2.969 -0.311  0.133
H20 0.033 3.885 -1.438  0.130
H21 -0.377 1.682 -2.428  0.117
H22 -1.296 1.325 -0.822  0.123
H23 2.029 -0.977 1.245  0.084
H24 1.332 -3.478 2.071  0.079
H25 -3.356 -4.889 0.660  0.089
H26 -2.603 -4.396 2.418  0.093
H27 -2.953 -6.239 2.018  0.096
H28 0.925 -5.609 2.275  0.059
H29 -0.280 -7.129 2.280  0.098
H30 -0.703 -5.572 3.261  0.081
H31 -1.157 -7.538 0.304  0.125
H32 -2.173 -6.356 -0.760  0.117
H33 0.415 -4.441 -2.402  0.062
H34 0.334 -6.070 -3.516  0.082
H35 -1.282 -5.362 -2.704  0.087
H36 0.970 -8.043 -2.781  0.085
H37 0.584 -8.711 -1.061  0.082
H38 -0.910 -8.380 -2.276  0.090
H39 1.665 -5.448 0.232  0.056
H40 2.324 -5.913 -1.472  0.097
H41 2.068 -7.320 -0.244  0.067
H42 -2.313 -3.503 -1.216  0.089
H43 -1.582 -0.939 -2.031  0.107
H44 -3.555 2.085 1.741  0.174
C27 0.390 2.761 -5.307  -0.095
C28 0.345 1.371 -5.307  -0.077
C29 -0.423 0.740 -6.272  -0.153
N3 -1.135 1.396 -7.213  0.068
C30 -1.074 2.745 -7.187  -0.171
C31 -0.332 3.466 -6.264  -0.097
H45 0.982 3.291 -4.566  0.104
H46 0.896 0.793 -4.573  0.099
H47 -0.487 -0.344 -6.316  0.077
H48 -1.657 3.250 -7.952  0.103
H49 -0.318 4.549 -6.291  0.107
C32 3.285 -3.644 -6.815  -0.080
C33 2.518 -2.731 -7.532  -0.072
+++

“Democracy will survive. America will survive,” she writes. “George and I may not survive.”